# Excerpt
____________
Record 1
Computed, not measured: a relaxed NaO8 crystal at the PBE level of DFT.

extended XYZ file:
```
36
Lattice="15.758 0.000 0.000 0.000 5.696 0.000 0.000 1.174 6.651" Properties=species:S:1:pos:R:3 pbc="T T T"
Na 12.566 3.061 0.386
Na 4.687 3.222 2.940
Na 3.192 3.809 6.265
Na 11.071 3.648 3.711
O 9.095 5.455 3.324
O 1.216 0.828 0.001
O 6.663 1.415 3.327
O 14.543 6.042 6.650
O 11.546 0.972 4.950
O 3.667 6.486 5.026
O 4.212 5.898 1.701
O 12.091 0.385 1.625
O 11.249 5.427 5.399
O 3.370 2.030 4.577
O 4.510 1.443 1.252
O 12.389 4.840 2.074
O 9.228 3.015 2.228
O 1.349 3.268 1.098
O 6.530 3.856 4.423
O 14.409 3.602 5.553
O 9.484 3.428 0.980
O 1.605 2.855 2.345
O 6.274 3.442 5.671
O 14.154 4.015 4.306
O 8.464 3.789 0.275
O 0.585 2.494 3.051
O 7.294 3.081 6.376
O 15.173 4.376 3.600
O 10.728 1.939 5.372
O 2.849 5.519 4.604
O 5.030 4.932 1.279
O 12.909 1.351 2.047
O 9.321 6.046 2.264
O 1.442 0.237 1.062
O 6.437 0.824 4.387
O 14.316 6.634 5.589
```

Summary:
total magnetic moment	0.319	μB per atom
distance to the lowest polymorph of the same formula	53.6	meV/atom
crystal system	monoclinic

***

Record 2
Computed, not measured: a relaxed Na6O crystal at the PBE level of DFT.

extended XYZ file:
```
21
Lattice="8.951 4.875 2.545 -9.861 -1.691 3.206 3.390 -9.150 5.601" Properties=species:S:1:pos:R:3 pbc="T T T"
Na 2.809 2.608 2.830
Na 2.012 0.597 5.548
Na -4.110 -3.058 2.958
Na -4.993 -5.220 5.930
Na -2.399 -7.677 5.786
Na 0.907 -6.691 5.621
Na -3.637 0.358 3.056
Na 3.802 -5.681 5.520
Na 7.007 -4.394 5.455
Na -1.184 -2.101 3.074
Na 2.423 -0.842 2.947
Na 5.296 0.225 2.627
Na 1.244 -2.993 5.683
Na -1.595 -0.661 5.674
Na 7.515 -0.854 5.490
Na 0.419 -4.982 8.709
Na 3.314 -3.972 8.607
Na 3.387 -9.140 5.595
O 3.549 0.853 3.918
O -3.056 -1.453 4.150
O 2.727 -7.361 4.506
```

Summary:
total magnetic moment	0.000	μB per atom
crystal system	orthorhombic

***

Record 3
Computed, not measured: a relaxed Na2OsO7 crystal at the PBE level of DFT.

extended XYZ file:
```
20
Lattice="9.244 0.000 0.000 0.000 6.201 0.000 0.000 0.547 6.201" Properties=species:S:1:pos:R:3 pbc="T T T"
Na 6.767 4.870 5.085
Na 2.145 1.878 1.116
Na 2.757 5.138 5.335
Na 7.379 1.610 0.866
Os 4.380 1.939 4.798
Os 9.002 4.809 1.403
O 2.789 1.183 5.292
O 7.411 5.565 0.910
O 6.069 2.536 5.106
O 1.447 4.212 1.095
O 4.059 2.468 3.162
O 8.681 4.280 3.040
O 5.029 6.455 4.716
O 0.407 0.294 1.486
O 0.142 0.877 4.433
O 4.764 5.871 1.769
O 8.487 3.474 0.256
O 3.865 3.274 5.945
O 8.217 1.023 4.055
O 3.595 5.725 2.147
```

Summary:
total magnetic moment	0.200	μB per atom
crystal system	monoclinic

***

Record 4
Computed, not measured: a relaxed NaOsO3 crystal at the PBE level of DFT.

extended XYZ file:
```
10
Lattice="4.667 -2.714 0.000 4.667 2.714 0.000 3.088 0.000 4.428" Properties=species:S:1:pos:R:3 pbc="T T T"
Na 3.105 0.000 1.107
Na 9.316 0.000 3.321
Os 0.000 0.000 0.000
Os 6.211 0.000 2.214
O 7.101 -1.561 2.989
O 7.772 0.408 1.107
O 6.864 1.153 3.654
O 4.649 -0.408 3.321
O 5.320 1.561 1.440
O 5.557 -1.153 0.774
```

Summary:
crystal system	trigonal

***

Record 5
Computed, not measured: a relaxed Na3OsO5 crystal at the PBE level of DFT.

extended XYZ file:
```
27
Lattice="-0.805 -3.256 4.515 0.777 -2.342 -5.054 13.445 -0.280 2.197" Properties=species:S:1:pos:R:3 pbc="T T T"
Na 11.796 -3.924 4.645
Na 3.253 -3.814 0.599
Na 5.851 -1.289 -0.619
Na 7.581 -1.604 2.564
Na 6.702 -4.190 0.708
Na 10.155 -3.876 0.884
Na 10.981 -1.133 3.079
Na 2.456 -0.694 -1.032
Na 1.615 -3.126 -3.101
Os 4.172 -1.345 2.467
Os 9.262 -1.087 -0.478
Os -0.017 -3.447 -0.332
O 12.822 -3.766 0.078
O 9.509 -1.831 -2.083
O 5.203 -2.586 1.489
O 9.441 -2.769 3.697
O 6.990 -3.259 4.237
O 10.498 -1.476 0.820
O 0.586 -3.833 1.414
O 11.879 -4.599 2.317
O 2.933 -1.466 1.120
O 6.427 -2.600 -2.578
O 3.916 -2.379 3.902
O 3.980 -2.197 -1.952
O 8.218 -2.482 0.247
O -0.008 -1.668 -0.161
O 1.523 -4.233 -0.944
```

Summary:
crystal system	trigonal

***

Record 6
Computed, not measured: a relaxed NaOsO3 crystal at the PBE level of DFT.
____________

# Activity
Say how many lines of the data above hold the word "the", as a bare number.

# Solution
7